The Ukrainian Farmyard
To a certain degree, the main features of Galician and Bukovynian village farmyards were reproduced on the
homesteads of east central Alberta during the early years. Although they were no longer as tightly clustered as they had been in the Old Country, the first years
'''
10 unconnected molecules or ions with the total composition C29H52Cl8O18, computed with ωB97M-V/def2-TZVPD.

Output
HOMO-LUMO gap (alpha / beta), eV: 10.171 / 2.236
Multiplicity: 2
Total charge: +1

Last columns: bonded neighbours and bond lengths (Å).
Geometry (Å):
1 Cl -3.935 -0.164 2.822  C2 1.757
2 C -5.287 0.876 2.403  Cl1 1.757, C3 1.486, H5 1.090, H6 1.090
3 C -6.279 0.819 3.509  C2 1.486, Cl4 1.775, H7 1.090, H8 1.090
4 Cl -5.864 1.957 4.807  C3 1.775
5 H -5.625 0.332 1.521  C2 1.090
6 H -4.898 1.866 2.166  C2 1.090
7 H -6.272 -0.123 4.057  C3 1.090
8 H -7.305 1.036 3.214  C3 1.090
9 Cl -0.224 5.501 2.384  C10 1.831
10 C -1.216 4.254 1.482  Cl9 1.831, C11 1.566, H13 1.090, H14 1.090
11 C -2.120 3.500 2.514  C10 1.566, Cl12 1.736, H15 1.090, H16 1.090
12 Cl -1.065 2.576 3.537  C11 1.736
13 H -0.636 3.555 0.880  C10 1.090
14 H -1.943 4.724 0.819  C10 1.090
15 H -2.772 2.784 2.013  C11 1.090
16 H -2.585 4.257 3.145  C11 1.090
17 Cl 5.096 4.900 1.960  C18 1.806
18 C 4.467 5.433 0.353  Cl17 1.806, C19 1.539, H21 1.090, H22 1.090
19 C 2.954 5.152 0.345  C18 1.539, Cl20 1.824, H23 1.090, H24 1.090
20 Cl 2.550 3.405 0.011  C19 1.824
21 H 5.027 4.929 -0.435  C18 1.090
22 H 4.598 6.512 0.265  C18 1.090
23 H 2.482 5.702 -0.469  C19 1.090
24 H 2.455 5.461 1.263  C19 1.090
25 Cl 4.579 -1.002 -6.034  C26 1.750
26 C 3.408 -1.026 -4.733  Cl25 1.750, C27 1.575, H29 1.090, H30 1.090
27 C 1.918 -1.019 -5.242  C26 1.575, Cl28 1.809, H31 1.090, H32 1.090
28 Cl 0.836 -1.056 -3.793  C27 1.809
29 H 3.542 -0.092 -4.188  C26 1.090
30 H 3.675 -1.946 -4.212  C26 1.090
31 H 1.845 -1.941 -5.819  C27 1.090
32 H 1.617 -0.192 -5.885  C27 1.090
33 C -0.177 0.960 0.620  C34 1.529, O38 1.400, H39 1.090, H40 1.090
34 C -0.083 -0.137 -0.441  C33 1.529, O35 1.402, H41 1.090, H42 1.090
35 O -1.404 -0.577 -0.604  C34 1.402, C36 1.263
36 C -2.233 0.255 -0.140  O35 1.263, O37 1.239, O38 1.427
37 O -3.463 0.242 -0.286  C36 1.239
38 O -1.530 1.306 0.520  C33 1.400, C36 1.427
39 H 0.533 1.754 0.393  C33 1.090
40 H 0.128 0.585 1.597  C33 1.090
41 H 0.490 -0.921 0.053  C34 1.090
42 H 0.332 0.286 -1.356  C34 1.090
43 C 2.090 0.520 4.031  C44 1.556, O48 1.441, H49 1.090, H50 1.090
44 C 2.845 1.603 3.208  C43 1.556, O45 1.450, H51 1.090, H52 1.090
45 O 3.176 2.590 4.217  C44 1.450, C46 1.341
46 C 2.733 2.291 5.447  O45 1.341, O47 1.184, O48 1.329
47 O 2.961 2.932 6.417  C46 1.184
48 O 2.109 1.122 5.340  C43 1.441, C46 1.329
49 H 2.503 -0.488 4.085  C43 1.090
50 H 1.067 0.510 3.655  C43 1.090
51 H 2.167 1.920 2.415  C44 1.090
52 H 3.798 1.279 2.790  C44 1.090
53 C 6.241 -0.804 1.469  C54 1.498, O58 1.385, H59 1.090, H60 1.090
54 C 6.143 -1.699 0.272  C53 1.498, O55 1.399, H61 1.090, H62 1.090
55 O 4.853 -1.525 -0.241  C54 1.399, C56 1.314
56 C 4.184 -0.702 0.534  O55 1.314, O57 1.191, O58 1.333
57 O 3.078 -0.319 0.310  C56 1.191
58 O 4.900 -0.501 1.640  C53 1.385, C56 1.333
59 H 6.816 0.043 1.095  C53 1.090
60 H 6.677 -1.324 2.322  C53 1.090
61 H 6.169 -2.711 0.674  C54 1.090
'''
for Ukrainian settlers were fairly compact. The front of the house was usually oriented toward the south, while the out-buildings, located on the perimeter of the yard, were oriented around the house. Northwesterly winds reinforced the tradition of constructing dwellings with a southern façade in Western Canada. As in Ukraine, gardens were located on the periphery of the farmyard.
Nevertheless, there were differences in the layout of the farmyards and they became more pronounced with the passing of time. Because settlement preceded the construction of roads, because it was easier to establish the farmyard on cleared land, and because ready access to water was a major consideration, houses and outbuildings in east central Alberta were not always located close to the road as they had been in Ukraine. Furthermore, when a second home was built near the road, new buildings were erected next to the old ones creating a pattern
where the house became increasingly isolated from the outbuildings. The availability of land and the acquisition of vehicles and machines which would not be maneuvered in tight compact yards, also contributed to the expanding size of the farmyard.
-- Here the text breaks off for records of molecules --
=====
C4H10BCsO4P | ωB97M-V/def2-TZVPD

```
! RIJCOSX wB97M-V def2-TZVPD def2/J DEFGRID3
* xyz 1 1
O 2.9127 1.9809 -0.5425
P 2.2947 0.5762 -0.0500
O 2.0115 0.6214 1.6739
O 3.5284 -0.6294 -0.4801
C 0.7591 0.1603 -1.0914
B -0.6071 0.9983 -0.7418
C -1.2832 1.2774 0.7147
C -1.8565 -0.2655 1.3977
C -2.8197 -1.2181 0.3140
O -1.2691 -1.5601 0.7479
H 1.5014 -0.1898 1.9947
H 3.0345 -1.5176 -0.4858
H 1.0383 0.4136 -2.2240
H 0.5886 -1.0076 -1.0727
H -1.2118 1.4175 -1.6903
H -0.4718 1.6703 1.4619
H -2.2637 1.9544 0.6807
H -2.1755 -0.2725 2.6124
H -2.7586 -1.0603 -0.8372
H -3.0761 -2.3303 0.6369
Cs 2.1239 -1.0190 -3.0190
*
```

Highest occupied orbital energy, eV: -13.382
HOMO-LUMO gap, eV: 9.38
Energy relative to the best compared isomer or geometry (same formula, charge and spin), kcal per mole: 134.1

=====

1.
23
Properties=species:S:1:pos:R:3:forces:R:3:nbo_charge:R:1 method="wB97M-V/def2-TZVPD" multiplicity=1 molar_mass_g_mol=117.19 total_energy_ha=-367.5676 largest_force_ev_per_a=1.1 homo_lumo_gap_ev=9.8 e_homo_ev=-8.77 lumo_ev=1.00 smiles="C=CC[C@H](C)NC.O"
C -0.3130 1.2476 1.4756 0.11 -0.24 -0.08 -0.40
N -0.2970 1.1811 0.0308 -0.86 0.18 -0.74 -0.66
C 0.0019 -0.0909 -0.6163 0.45 0.01 0.31 -0.03
C 1.4972 -0.4784 -0.4814 -0.13 0.25 0.49 -0.47
C 1.8779 -1.0329 0.8734 0.45 0.34 -0.55 -0.17
C 1.2400 -2.0036 1.4802 -0.27 -0.49 0.45 -0.41
C -0.3838 -0.1149 -2.0963 0.39 -0.11 0.40 -0.62
H -0.9214 0.4136 1.8248 0.12 -0.11 0.20 0.19
H 0.6765 1.1852 1.9351 0.04 -0.09 0.15 0.17
H -0.7985 2.1531 1.8312 -0.01 0.21 -0.18 0.20
H 0.1669 1.9551 -0.4223 0.12 0.04 0.11 0.36
H -0.5957 -0.8326 -0.0818 -0.09 -0.05 -0.05 0.19
H 1.7960 -1.1701 -1.2731 -0.04 -0.05 0.06 0.22
H 2.0503 0.4476 -0.6330 0.19 0.05 -0.24 0.20
H 2.7633 -0.6392 1.3640 0.01 0.15 -0.13 0.20
H 1.5861 -2.3671 2.4364 -0.09 -0.12 0.07 0.20
H 0.3594 -2.4560 1.0514 -0.15 -0.17 0.01 0.19
H 0.4274 0.3010 -2.7001 -0.16 0.15 -0.06 0.20
H -1.3209 0.3917 -2.3096 -0.02 -0.04 -0.02 0.23
H -0.4625 -1.1700 -2.3483 -0.14 -0.03 -0.35 0.21
H -2.3548 1.1164 -0.6225 0.05 0.22 0.08 0.48
H -3.6803 0.8375 0.0637 -0.06 0.07 -0.19 0.46
O -3.3150 1.1256 -0.7819 0.09 -0.18 0.26 -0.96



2.
66
Properties=species:S:1:pos:R:3:forces:R:3:lowdin_charge:R:1 method="wB97M-V/def2-TZVPD" multiplicity=1 molar_mass_g_mol=734.00 charge=+2 total_energy_ha=-2418.8304 largest_force_ev_per_a=1.2 homo_lumo_gap_ev=6.8 e_homo_ev=-13.99 lumo_ev=-7.16
Tl -0.2196 1.1317 -0.6446 0.71 0.48 0.59 0.96
F 3.2904 3.5980 2.6687 0.04 0.06 0.05 0.12
C 2.1703 3.7621 1.9744 -0.18 -0.13 -0.14 -0.26
C 1.6914 2.7036 1.2122 0.13 0.11 0.14 -0.07
C 0.5334 2.9114 0.5025 -0.30 -1.03 -0.63 -0.21
C -0.2135 4.0798 0.5042 0.12 0.10 0.09 -0.12
C 0.3229 5.1011 1.3022 0.03 -0.28 -0.06 -0.19
F -0.2943 6.2769 1.4105 -0.04 0.06 -0.01 0.11
C 1.4946 4.9606 2.0239 0.07 0.15 0.12 0.11
C -1.4589 4.1939 -0.3095 -0.01 0.07 0.02 -0.20
C -2.2138 5.3611 -0.4081 -0.14 0.08 -0.12 0.03
C -3.3233 5.3911 -1.2401 0.09 -0.09 0.05 -0.01
C -3.6736 4.2571 -1.9519 -0.03 -0.08 -0.04 -0.02
=====
In Galicia and Bukovyna it was not uncommon for poor peasants to store crop yields and implements in the hallway or storage room of their dwellings. Animals were housed in lean-to outbuildings attached to the peasant’s home. Where livestock was more numerous it was housed in a separate partitioned structure. Only wealthier peasants had separate specialized structures such as granaries, stables, barns, pig pens, chicken coops, etc. There were
three basic functional groups of out-buildings: animal shelters, crop storage and implement shelters. All three groups appeared in east central Alberta.
The animal shelter was usually the first out-building to be completed. It was built shortly after the completion of the first permanent home. A flat or gable roofed log structure, it united the functions of cow barn, horse stable, granary and wagon shed under one roof. As livestock holding expanded, separate structures were constructed for horses and cows. Unlike the Canadian barn, which
combined both a storage function and a shelter function within a single-roomed, one and one-half storey structure, the Ukrainian
low stable (stainia) only sheltered livestock. A few
stodoly were also built in east central Alberta during the early years. These were structures for storing hay,
-- begin --
This record from the OMol25 dataset describes an isolated molecule of C4H7NO at a distorted geometry. The level of theory is ωB97M-V with the def2-TZVPD basis set.

Geometry as XYZ:
```
13
Properties=species:S:1:pos:R:3:forces:R:3:mulliken_charge:R:1
C -0.07815 -1.45784 1.26507 0.28 -0.15 -0.05 -0.61
O -0.58687 -1.09215 -0.01126 0.93 -0.81 -0.69 -0.42
C 0.24417 -0.10325 -0.77604 -0.16 -1.11 0.44 -0.41
C -0.55208 1.14760 -0.47012 -0.95 -0.79 0.69 -0.43
C 0.07951 2.10727 0.42876 0.18 0.36 0.82 0.27
N 0.55046 2.82281 1.21032 -0.42 -0.71 -0.93 -0.45
H 0.73653 -2.16181 1.09597 0.15 -0.03 0.36 0.29
H 0.27797 -0.59022 1.84262 -0.08 -0.14 -0.19 0.30
H -0.87634 -1.95409 1.83188 0.17 0.16 -0.31 0.22
H 1.26852 -0.12368 -0.40015 -0.07 0.02 -0.13 0.37
H 0.18590 -0.41940 -1.81864 0.11 0.07 0.19 0.24
H -1.22539 0.27521 0.09977 -0.31 3.46 -0.60 0.27
H -1.03009 1.65062 -1.32504 0.18 -0.34 0.40 0.36
```
Positions in Å, forces in eV/Å.

Values from the calculation:
relative energy (zero: lowest compared OMol25 entry of this formula, charge and spin) = 295.7 kJ/mol
E_HOMO = -0.3708 Eh
Kohn-Sham gap = 10.9 eV
SMILES = COCCC#N

* * * * *

# C46H45FN7O4RuS

C46H45FN7O4RuS as an isolated structure (the ωB97M-V functional and the def2-TZVPD basis, the OMol25 dataset).

Positions of all 105 atoms, in Å:
Ru 0.49027 -1.50660 -0.67190
C 0.31547 -1.30224 2.35598
C -0.77309 -0.44095 1.75543
C -1.54883 -1.15788 0.67940
C -1.91680 -0.54182 -0.51358
C -2.85121 -1.07997 -1.39233
C -3.38540 -2.34863 -1.08036
C -3.09059 -2.94511 0.09665
N -2.28750 -2.31321 1.05340
N 1.28121 -1.68628 1.30326
C 2.48331 -0.82831 1.24471
C 3.24001 -1.15655 -0.02476
C 4.59823 -0.96072 -0.16809
C 5.20378 -1.29291 -1.37340
C 4.43263 -1.82438 -2.39138
C 3.07529 -1.99958 -2.18229
N 2.49218 -1.66522 -1.02625
C 1.68285 -3.10617 1.49468
C 0.68849 -4.00975 0.82093
C 0.35638 -5.26494 1.28765
C -0.48295 -6.06276 0.52095
C -0.94909 -5.57968 -0.68812
C -0.60231 -4.29682 -1.08069
N 0.18247 -3.51795 -0.33031
H 0.83159 -0.81923 3.19112
H -0.14333 -2.20995 2.74271
H -1.45652 -0.13445 2.55885
H -0.35643 0.47480 1.33319
H -1.45533 0.41025 -0.73192
H -3.12291 -0.56606 -2.30031
H -4.02528 -2.87219 -1.77669
H -3.48386 -3.90046 0.40904
H 2.15664 0.21252 1.22033
H 3.12432 -0.97186 2.12250
H 5.17558 -0.56263 0.65568
H 6.26712 -1.14715 -1.50782
H 4.86529 -2.10417 -3.34100
H 2.42128 -2.40047 -2.94646
H 2.64643 -3.26000 1.00814
H 1.80758 -3.34179 2.55428
H 0.75831 -5.61720 2.22837
H -0.75563 -7.05283 0.86055
H -1.58390 -6.17950 -1.32484
H -0.93586 -3.85429 -2.00923
F 0.89881 5.31858 0.51787
C 0.70168 4.71275 -0.67062
C 0.75466 3.35107 -0.72283
C 0.60580 2.67968 -1.94066
C 0.64011 1.21803 -1.97638
O 0.85728 0.59596 -0.90486
C 0.43007 0.62557 -3.25500
C 0.28669 1.43577 -4.34361
N 0.27569 2.78328 -4.31611
C 0.08141 3.52425 -5.54650
C 1.21443 4.35763 -6.07455
C 0.82455 3.08812 -6.76936
C 0.40613 3.43649 -3.10364
C 0.31459 4.83197 -3.01916
C 0.46610 5.49501 -1.81511
N 0.36764 6.90651 -1.79143
C 1.23319 7.68213 -2.66892
-- stop --
• The data records stop here:
un-threshed crops and straw, which were equipped with flailing floors and were large enough to accommodate a wagon filled with sheaves. As Bilash has pointed out, the adoption of North American-style barns
with gambrel roofs (uncharacteristic of Ukrainian architecture) which allowed for the storage of hay in the upper loft area eventually made
[stodyly] redundant. The increasing popularity of threshing machines, which eliminated the need for a flailing floor, had the same effect.
Small animals such as pigs and chickens were originally kept in crude, seasonal shelters. Later, log pig and poultry houses chinked with plaster, covered with shingled roofs, and which floors of hewn logs were constructed. Rail fence enclosures surrounded these structures.
Granaries were not needed during the first years of homesteading. Grain was kept in sacks of in storage boxes in the storage hallway of the settler’s dwelling. Later a small lean-to added to the house was large enough to store grain. However when improved acreage expanded and crop yields began to increase, granaries were constructed. Like the Old Country
komora they were almost square or somewhat elongated log structures raised above the ground [and] . . . always constructed with floors. They were covered with shingled gable roofs and plastered on the inside to prevent the grain from leaking out.
The last out-building to appear was the implement, vehicle or machine shed. It was built only after the other structures had been erected. At first machine shed were lean-to additions to existing structures. However as more machinery was acquired separate structures had to be built. Usually they were little more than earthen-floor log frames
sheathed in boards on three walls and with an ample roof to provide protection from blowing rain or snow.
Excerpted from Orest T. Martynowych The Ukrainian Bloc Settlement in East Central Alberta, 1890-1930: A History. Alberta Culture &
Multiculturalism Occasional Paper No. 10, March 1985, (1990). With Permission
from Alberta Community Development, Cultural Facilities and Historical
Resources Division